
Login or Register to make a submission.

[Materials data, as found in the file]
=====
No. 1
NdErAs2Pd5: relaxed, GGA-PBE.

Geometry as POSCAR:
```
NdErAs2Pd5
1.0
4.265 0.000 0.000
0.000 4.265 0.000
0.000 0.000 9.292
Nd Er As Pd
1 1 2 5
Cartesian
0.000 0.000 0.000 Nd
0.000 0.000 4.646 Er
2.132 2.132 3.390 As
2.132 2.132 5.902 As
0.000 2.132 2.131 Pd
0.000 2.132 7.161 Pd
2.132 0.000 2.131 Pd
2.132 0.000 7.161 Pd
2.132 2.132 0.000 Pd
```

Results
Formation energy in eV/atom: -0.774
E in eV per cell: -51.56

No. 2
LiCr3Se: relaxed, GGA-PBE.

Geometry as POSCAR:
```
LiCr3Se
1.0
4.269 0.000 0.000
0.000 4.269 0.000
0.000 0.000 4.269
Li Cr Se
1 3 1
Cartesian
0.000 0.000 0.000 Li
0.000 0.000 2.134 Cr
0.000 2.134 0.000 Cr
2.134 0.000 0.000 Cr
2.134 2.134 2.134 Se
```

Results
Energy above the most stable polymorph in this dataset in eV/atom: 0.491
E in eV per cell: -27.87
ΔE_f (raw) in eV per atom: 1.28

No. 3
Rb2NdMgBr6: relaxed, GGA-PBE.

Geometry as POSCAR:
```
Rb2NdMgBr6
1.0
-3.987 3.999 5.645
3.987 -3.999 5.645
3.987 3.999 -5.645
Rb Nd Mg Br
2 1 1 6
Cartesian
0.000 0.000 2.822 Rb
0.000 0.000 8.468 Rb
0.000 3.999 0.000 Nd
3.987 0.000 0.000 Mg
2.081 1.909 0.000 Br
3.987 0.000 2.695 Br
5.893 1.909 0.000 Br
-1.906 2.090 5.645 Br
0.000 3.999 2.950 Br
1.906 2.090 5.645 Br
```

Results
E in eV per cell: -33.80
ΔE_f (raw) in eV per atom: -1.55

No. 4
PrScGa4: relaxed, GGA-PBE.

Geometry as POSCAR:
```
PrScGa4
1.0
8.120 0.000 0.000
0.000 15.508 0.000
0.000 0.000 4.125
Pr Sc Ga
4 4 16
Cartesian
1.056 2.270 0.000 Pr
3.004 10.024 0.000 Pr
5.115 5.484 0.000 Pr
7.064 13.237 0.000 Pr
1.042 6.468 0.000 Sc
3.018 14.222 0.000 Sc
5.101 1.285 0.000 Sc
7.078 9.039 0.000 Sc
0.074 10.851 2.062 Ga
0.960 8.565 2.062 Ga
1.055 14.992 2.062 Ga
1.665 12.610 2.062 Ga
2.395 4.857 2.062 Ga
3.005 7.238 2.062 Ga
3.100 0.811 2.062 Ga
3.986 3.097 2.062 Ga
4.134 12.410 2.062 Ga
5.020 14.696 2.062 Ga
5.115 8.269 2.062 Ga
5.725 10.651 2.062 Ga
6.455 2.897 2.062 Ga
7.065 0.516 2.062 Ga
7.160 6.942 2.062 Ga
8.045 4.657 2.062 Ga
```

Results
Energy above the most stable polymorph in this dataset in eV/atom: 0.038
Formation energy in eV/atom: -0.521
E in eV per cell: -105.37

For the records above, the corresponding magnetic moment values read 0.000 8.825 0.955 0.000 μB/f.u..
=====

Submission Preparation Checklist

As part of the submission process, authors are required to check off their submission's compliance with all of the following items, and submissions may be returned to authors that do not adhere to these guidelines.
  • The contribution is unpublished, original and is not being evaluated for publication by another journal; otherwise, it must be justified in "Comments to the editor". With the exception of invitations to republish articles.
  • The submission file is in Microsoft Word format. (.doc or .docx)
  • I have the rights to the submitted text or authorization to submit the text to the journal
  • Where available, URLs for references have been provided.
  • The text follows the style standards and bibliographic requirements described in Author Guidelines, on the About the Magazine page.
  • I understand that files that do not follow the formatting guidelines will be rejected out of hand and not forwarded for evaluation.

Author Guidelines

Publication standards

Articles, essays, comments and reviews submitted for publication in the Revista Magis de Direito must be submitted via the OJS system. If you have any questions, please contact us via email

Articles, essays, comments and reviews submitted for publication in the Revista Magis de Direito can be written in a foreign language (Spanish and English). Works in a foreign language may maintain the original editorial rules, corresponding to local customs.

A second copy of the article, entitled “blind”, is welcome, especially in the case of academic works that constitute a continuation of previous research by the author(s), avoiding the presence of references that the author(s) identify(m).

With the exception of exceptional cases of publication by invitation, the minimum title of the main author of the articles to be submitted for evaluation will be Master's Student.

The journal will publish research by undergraduates and graduates as long as they are co-authored with at least one master or doctor in the field of Law.

Research submitted to the journal may be co-authored by a maximum of 3 (three) co-authors.

All the publication rules, indicated below, are mandatory and no text will be evaluated without having previously fulfilled them.

The reference system adopted by the journal is footnotes.


Section default policy

Privacy Statement

Revista de Direito Magis is committed to respecting your privacy and security, within the strictest Internet security standards. In this sense, in line with the European GDPR and the LGPD, this privacy policy has been developed to provide users with an assertive understanding about the treatment of data provided and/or collected during the use of the journal.

Data collected: When registering for the Open Journal Systems (OJS) system for the first time, you will need to provide some personal information, such as name and email address (mandatory information will be identified by an asterisk*). This data will be stored on the Revista de Direito Magis data server so that You can use the available materials and resources, as well as be informed of new publications.

Use of information collected: User registration data will be collected and kept under the strictest confidentiality and are used only for the purpose of providing access conditions to the platform for the purpose of submitting articles, case law comments and reviews to the journal. With the information collected, we aim to:

01. Identify the contents accessed and submitted;
02. Ensure that submissions are properly correlated;
03. Allow the sending of information about publication procedures;
04. Allow the sending of announcements about the publication of new issues; It is
05. Guarantee any audit of editorial processes, including the integrity of communications and evaluations.

Sharing of collected information: The Revista de Direito Magis does not share, sell or lend its database to any other company, institution or association. The User's personal data will not be used for purposes other than those related to the administration and management of the Website and the Magazine.

However, in cases where (i) Revista de Direito Magis is required by law to inform the competent authorities about facts, information and/or data entered by you on the Website, (ii) information is requested by an order issued by a competent authority in the fulfillment of its legal attributions (both in your country and in other jurisdictions), or (iii) there are violations or suspected violations of this Privacy Policy or the law, Revista de Direito Magis may make available your data that is stored in our systems. In all cases, however, Revista de Direito Magis undertakes to reveal information limited to the minimum necessary to achieve the required purposes.

Safekeeping of collected information: Any information provided by You will be collected and kept under the strictest confidentiality and in accordance with strict security and reliability standards.

Revista de Direito Magis adopts security levels within the legal requirements for the protection of Users' data and the company makes the best efforts to maintain the integrity of the information that is provided, which is why it is not responsible for damages resulting from access made possible by misuse. of the User or by improper access by third parties.